All right, since everyone else is doing it, I decided to do a Year in Review entry as well, borrowing
Greg's template.
Not bad. Enjoyed relatively good health until August when I contracted a six-week bout of one of the rarest cases of mononucleosis there is. I lost fifteen pounds because of nausea and lack of appetite. But I'm better now, and pretty happy.
Big-time news here. I met Janet while at Clarion this summer, and fell head over heels for her at the end of the third week. She's smart and beautiful and funny and there's no possible way in the universe that I deserve her. I finally feel like I've discovered that missing part of myself. I'm the luckiest guy in the world.
Day job
After a long time of wanting to leave my last job, I finally got the opportunity when I was accepted to Clarion. I was told that there was no guarantee I'd have a job when I got back, so I started searching for one, and luckily enough, found one where my work is appreciated and I don't have to deal with clients anymore.
Saw my parents on a fairly regular basis, and went over to their house for lots of computer issues. Only saw Kristin a couple of times this year, which is just unacceptable. I'm going to have to go up and visit her in New York again next year. She's moving to a new apartment in Brooklyn (this week, hopefully) and really wants me to come up and see it.
Kept some old friends, made some new ones, and had to watch one get married and move to Florida. My friendship with Jamie got stronger, I got to know Mike better, and I hear from nearly all my fellow 2002 Clarionites on at least a monthly basis, if not weekly. Plus, I made some new friends through this journal and others.
Did too little of this. I barely went to the gym this year, wasting gobs of money on my Gold's membership. But it's expired now, so I don't have to pay anymore. Yes, my life is a Friends episode.
Quit almost completely, shifting over to tea, which doesn't have as much caffeine and is less harsh on my stomach and my nerves. Long live English Breakfast.
Drove all the way up to East Lansing, Michigan for Clarion, and drove all the way back afterward. The way up was exciting because it was the longest trip I'd ever driven by myself and I was anxious to get to the workshop. And the way back was exciting because Janet was in the car with me and kept me company.
Not sure of the exact count, but I probably read around 40 or 50 books this year.
Molecular data, as found in the file.
~~~
Record 1
{
  "formula": "C4H8N2O",
  "method": "ωB97M-V/def2-TZVPD",
  "e_tot_ha": -342.0018,
  "de_lowest_kj_mol": 4.93,
  "largest_force_ha_per_bohr": 0.0050,
  "charge": 0,
  "elements": ["O", "C", "N", "C", "C", "C", "N", "H", "H", "H", "H", "H", "H", "H", "H"],
  "positions_angstrom": [[-1.84874, 0.09407, -2.14543], [-1.02312, 0.04838, -1.24618], [-0.24647, 1.13052, -0.90144], [0.88728, 1.02917, -0.01045], [0.45933, 0.16914, 1.17688], [0.04785, -1.21243, 0.66769], [-0.81856, -1.08297, -0.49251], [-0.32729, 1.90876, -1.53422], [1.76329, 0.57007, -0.49427], [1.17867, 2.03730, 0.29974], [-0.39314, 0.65148, 1.66865], [1.27102, 0.06692, 1.90426], [-0.48545, -1.75919, 1.45518], [0.94534, -1.79855, 0.41711], [-1.41000, -1.85267, -0.76501]],
  "forces_ev_per_angstrom": [[0.148, -0.040, 0.126], [0.057, 0.014, 0.094], [-0.125, -0.026, -0.212], [0.074, -0.107, 0.221], [0.017, -0.019, -0.015], [0.103, 0.017, 0.121], [-0.162, 0.063, -0.156], [0.010, -0.078, 0.002], [-0.105, 0.060, -0.013], [-0.080, -0.165, 0.031], [0.137, -0.059, -0.042], [-0.117, 0.014, -0.110], [0.090, 0.095, -0.126], [-0.131, 0.123, 0.015], [0.082, 0.109, 0.062]]
}

***

Record 2
{
  "formula": "C34H100FN2O18Zr",
  "method": "ωB97M-V/def2-TZVPD",
  "e_tot_ha": -2964.8508,
  "de_lowest_kj_mol": 1856.53,
  "largest_force_ha_per_bohr": 0.1245,
  "charge": 1,
  "elements": ["Zr", "C", "C", "C", "C", "C", "C", "N", "O", "C", "C", "C", "H", "H", "H", "H", "H", "H", "H", "H", "H", "H", "H", "H", "H", "H", "H", "H", "H", "H", "C", "C", "C", "C", "C", "C", "N", "O", "C", "C", "C", "H", "H", "H", "H", "H", "H", "H", "H", "H", "H", "H", "H", "H", "H", "H", "H", "H", "H", "F", "C", "O", "H", "H", "H", "H", "C", "O", "H", "H", "H", "H", "C", "O", "H", "H", "H", "H", "C", "O", "H", "H", "H", "H", "C", "O", "H", "H", "H", "H", "C", "O", "H", "H", "H", "H", "C", "O", "H", "H", "H", "H", "C", "O", "H", "H", "H", "H", "C", "O", "H", "H", "H", "H", "C", "O", "H", "H", "H", "H", "C", "O", "H", "H", "H", "H", "C", "O", "H", "H", "H", "H", "C", "O", "H", "H", "H", "H", "C", "O", "H", "H", "H", "H", "C", "O", "H", "H", "H", "H", "C", "O", "H", "H", "H", "H"],
~~~
Sold two short stories ("One Big Crunch" and "Shiny Diner Blues") to The Dream Engine. Got non-fiction essay ("The Old Switcheroo") accepted by ICFA for presentation at the next conference, and sold to Darrell Schweitzer for The Neil Gaiman Reader. I'm hoping 2003 will be an even better year in this regard.
I've got 8 stories out making the rounds as of right now, and my writing has definitely gotten better. I'll be starting back on my novel An American Symphony in the next week.
Find ways to be able to spend time with Janet. Get a complete draft of the novel finished by this time next year. Visit Kristin in New York. Lose weight. Get published in a pro market.
I've had a very good year. Nearly everything I wanted to happen this year happened, and I've probably used up all my good karma for the rest of the decade. Let's hope 2003 is just as good. See you next year!
Now Reading:
The Great Automatic Grammatizator and Other Stories by Roald Dahl
Stories Out to Publishers:
Novel Word Count: